**Brief:**
Reproduce the part of the contents below that starts with the line with "0.8731 0.8547" and stops after the one with "0.9965 0.1540".

**Input:**
........
#a
Here is CaCo3O7 after structural relaxation from the Materials Project database. Energies are from PBE with a Hubbard U.

Unit cell a=6.7395 b=14.2575 c=10.9985 alpha=90.00 beta=102.56 gamma=90.00
Fractional positions:
1 Ca 0.0859 0.0073 0.2362
2 Ca 0.0859 0.4927 0.7362
3 Ca 0.3376 0.1258 0.9767
4 Ca 0.3376 0.3742 0.4767
5 Ca 0.6624 0.6258 0.5233
6 Ca 0.6624 0.8742 0.0233
7 Ca 0.9141 0.5073 0.2638
8 Ca 0.9141 0.9927 0.7638
9 Co 0.0115 0.7480 0.2525
10 Co 0.0115 0.7520 0.7525
11 Co 0.1269 0.1453 0.5201
12 Co 0.1269 0.3547 0.0201
13 Co 0.1599 0.6378 0.5209
14 Co 0.1599 0.8622 0.0209
15 Co 0.3685 0.6764 0.9174
16 Co 0.3685 0.8236 0.4174
17 Co 0.3984 0.5137 0.1816
18 Co 0.3984 0.9863 0.6816
19 Co 0.4973 0.2030 0.3076
20 Co 0.4973 0.2970 0.8076
21 Co 0.5027 0.7030 0.1924
22 Co 0.5027 0.7970 0.6924
23 Co 0.6016 0.0137 0.3184
24 Co 0.6016 0.4863 0.8184
25 Co 0.6315 0.1764 0.5826
26 Co 0.6315 0.3236 0.0826
27 Co 0.8401 0.1378 0.9791
28 Co 0.8401 0.3622 0.4791
29 Co 0.8731 0.6453 0.9799
30 Co 0.8731 0.8547 0.4799
31 Co 0.9885 0.2480 0.2475
32 Co 0.9885 0.2520 0.7475
33 O 0.0035 0.6540 0.6346
34 O 0.0035 0.8460 0.1346
35 O 0.0063 0.1483 0.3589
36 O 0.0056 0.1531 0.1282
37 O 0.0056 0.3469 0.6282
38 O 0.0063 0.3517 0.8589
39 O 0.0708 0.6634 0.8816
40 O 0.0708 0.8366 0.3816
41 O 0.2042 0.0295 0.5508
42 O 0.2042 0.4705 0.0508
43 O 0.2350 0.5214 0.5412
44 O 0.2350 0.9786 0.0412
45 O 0.2718 0.2326 0.7854
46 O 0.2718 0.2674 0.2854
47 O 0.2781 0.0213 0.7941
48 O 0.2781 0.4787 0.2941
49 O 0.3043 0.7442 0.2869
50 O 0.3043 0.7558 0.7869
51 O 0.3523 0.2126 0.5557
52 O 0.3523 0.2874 0.0557
53 O 0.3729 0.7163 0.5441
54 O 0.3729 0.7837 0.0441
55 O 0.3827 0.5693 0.8343
56 O 0.3827 0.9307 0.3343
57 O 0.4181 0.0990 0.2120
58 O 0.4181 0.4010 0.7120
59 O 0.4181 0.6145 0.0737
60 O 0.4181 0.8855 0.5737
61 O 0.5819 0.1145 0.4263
62 O 0.5819 0.3855 0.9263
63 O 0.5819 0.5990 0.2880
64 O 0.5819 0.9010 0.7880
65 O 0.6173 0.0693 0.6657
66 O 0.6173 0.4307 0.1657
67 O 0.6271 0.2163 0.9559
68 O 0.6271 0.2837 0.4559
69 O 0.6477 0.7126 0.9443
70 O 0.6477 0.7874 0.4443
71 O 0.6957 0.2442 0.2131
72 O 0.6957 0.2558 0.7131
73 O 0.7219 0.5213 0.7059
74 O 0.7219 0.9787 0.2059
75 O 0.7282 0.7326 0.7146
76 O 0.7282 0.7674 0.2146
77 O 0.7650 0.0214 0.9588
78 O 0.7650 0.4786 0.4588
79 O 0.7958 0.5295 0.9492
80 O 0.7958 0.9705 0.4492
81 O 0.9292 0.1634 0.6184
82 O 0.9292 0.3366 0.1184
83 O 0.9937 0.6483 0.1411
84 O 0.9944 0.6531 0.3718
85 O 0.9944 0.8469 0.8718
86 O 0.9937 0.8517 0.6411
87 O 0.9965 0.1540 0.8654
88 O 0.9965 0.3460 0.3654

Computed properties:
- calculated volume (Å³/cell) = 1032
- space-group type = P2_1/c (14)
- theoretical density (g/cm³) = 4.24


#b
Here is CaCo3O7 after structural relaxation from the Materials Project database. Energies are from PBE with a Hubbard U.

Unit cell a=10.7859 b=10.2785 c=5.2741 alpha=90.00 beta=90.00 gamma=90.00
Fractional positions:
1 Ca 0.0708 0.2500 0.1779
2 Ca 0.4292 0.7500 0.6779
3 Ca 0.5708 0.2500 0.3221
4 Ca 0.9292 0.7500 0.8221
5 Co 0.1973 0.5221 0.6964
6 Co 0.1973 0.9779 0.6964
7 Co 0.2194 0.7500 0.1910
8 Co 0.2806 0.2500 0.6910
9 Co 0.3027 0.0221 0.1964
10 Co 0.3027 0.4779 0.1964
11 Co 0.6973 0.5221 0.8036
12 Co 0.6973 0.9779 0.8036
13 Co 0.7194 0.7500 0.3090
14 Co 0.7806 0.2500 0.8090
15 Co 0.8027 0.0221 0.3036
16 Co 0.8027 0.4779 0.3036
17 O 0.0516 0.5736 0.7128
18 O 0.0516 0.9264 0.7128
19 O 0.0645 0.7500 0.1743
20 O 0.2168 0.1166 0.4553
21 O 0.2168 0.3834 0.4553
22 O 0.2219 0.1173 0.9338
23 O 0.2219 0.3827 0.9338
24 O 0.2781 0.6173 0.4338
25 O 0.2781 0.8827 0.4338
26 O 0.2832 0.6166 0.9553
27 O 0.2832 0.8834 0.9553
28 O 0.4355 0.2500 0.6743
29 O 0.4484 0.0736 0.2128
30 O 0.4484 0.4264 0.2128
31 O 0.5516 0.5736 0.7872
32 O 0.5516 0.9264 0.7872
33 O 0.5645 0.7500 0.3257
34 O 0.7168 0.1166 0.0447
35 O 0.7168 0.3834 0.0447
36 O 0.7219 0.1173 0.5662
37 O 0.7219 0.3827 0.5662
38 O 0.7781 0.6173 0.0662
39 O 0.7781 0.8827 0.0662
40 O 0.7832 0.6166 0.5447
41 O 0.7832 0.8834 0.5447
42 O 0.9355 0.2500 0.8257
........

**Done:**
30 Co 0.8731 0.8547 0.4799
31 Co 0.9885 0.2480 0.2475
32 Co 0.9885 0.2520 0.7475
33 O 0.0035 0.6540 0.6346
34 O 0.0035 0.8460 0.1346
35 O 0.0063 0.1483 0.3589
36 O 0.0056 0.1531 0.1282
37 O 0.0056 0.3469 0.6282
38 O 0.0063 0.3517 0.8589
39 O 0.0708 0.6634 0.8816
40 O 0.0708 0.8366 0.3816
41 O 0.2042 0.0295 0.5508
42 O 0.2042 0.4705 0.0508
43 O 0.2350 0.5214 0.5412
44 O 0.2350 0.9786 0.0412
45 O 0.2718 0.2326 0.7854
46 O 0.2718 0.2674 0.2854
47 O 0.2781 0.0213 0.7941
48 O 0.2781 0.4787 0.2941
49 O 0.3043 0.7442 0.2869
50 O 0.3043 0.7558 0.7869
51 O 0.3523 0.2126 0.5557
52 O 0.3523 0.2874 0.0557
53 O 0.3729 0.7163 0.5441
54 O 0.3729 0.7837 0.0441
55 O 0.3827 0.5693 0.8343
56 O 0.3827 0.9307 0.3343
57 O 0.4181 0.0990 0.2120
58 O 0.4181 0.4010 0.7120
59 O 0.4181 0.6145 0.0737
60 O 0.4181 0.8855 0.5737
61 O 0.5819 0.1145 0.4263
62 O 0.5819 0.3855 0.9263
63 O 0.5819 0.5990 0.2880
64 O 0.5819 0.9010 0.7880
65 O 0.6173 0.0693 0.6657
66 O 0.6173 0.4307 0.1657
67 O 0.6271 0.2163 0.9559
68 O 0.6271 0.2837 0.4559
69 O 0.6477 0.7126 0.9443
70 O 0.6477 0.7874 0.4443
71 O 0.6957 0.2442 0.2131
72 O 0.6957 0.2558 0.7131
73 O 0.7219 0.5213 0.7059
74 O 0.7219 0.9787 0.2059
75 O 0.7282 0.7326 0.7146
76 O 0.7282 0.7674 0.2146
77 O 0.7650 0.0214 0.9588
78 O 0.7650 0.4786 0.4588
79 O 0.7958 0.5295 0.9492
80 O 0.7958 0.9705 0.4492
81 O 0.9292 0.1634 0.6184
82 O 0.9292 0.3366 0.1184
83 O 0.9937 0.6483 0.1411
84 O 0.9944 0.6531 0.3718
85 O 0.9944 0.8469 0.8718
86 O 0.9937 0.8517 0.6411
87 O 0.9965 0.1540 0.8654